• Wanted:
Please type out the lines below up to the one that holds "0.506", that line included.
• Listing:
'''
Structure and computed PXRD pattern of TlAgS2 (the GGA-PBE geometry in Alexandria; Cu Ka).
Kinematic intensities with the Lorentz-polarization factor, no thermal factor.

Structure:
a b c (Å): 4.708 6.443 7.879
angles (deg): 69.68 77.78 71.89
Atoms (fractional coordinates):
Tl 0.000 0.000 0.000
Tl 0.248 0.490 0.748
Ag 0.544 0.431 0.117
Ag 0.547 0.909 0.571
S 0.001 0.667 0.373
S 0.261 0.147 0.315
S 0.663 0.765 0.884
S 0.871 0.382 0.393

Peak list (12 most intense, 10 to 90 degrees two-theta, by angle)
| 2θ (°) | Rel. int. |
| --- | --- |
| 12.1 | 47 |
| 22.1 | 53 |
| 24.4 | 54 |
| 27.0 | 34 |
| 28.2 | 94 |
| 29.8 | 95 |
| 29.8 | 100 |
| 30.6 | 45 |
| 32.5 | 40 |
| 43.3 | 28 |
| 44.3 | 47 |
| 45.2 | 27 |

=====

Structure and computed PXRD pattern of Tl2AgS6 (the GGA-PBE geometry in Alexandria; Cu Ka).
Kinematic intensities with the Lorentz-polarization factor, no thermal factor.

Structure:
a b c (Å): 10.742 10.742 10.456
angles (deg): 102.89 102.89 23.22
Atoms (fractional coordinates):
Tl 0.122 0.196 0.065
Tl 0.196 0.122 0.565
Tl 0.804 0.878 0.435
Tl 0.878 0.804 0.935
Ag 0.472 0.528 0.750
Ag 0.528 0.472 0.250
S 0.010 0.030 0.920
S 0.030 0.010 0.420
S 0.276 0.343 0.607
S 0.342 0.417 0.271
S 0.343 0.276 0.107
S 0.417 0.342 0.771
S 0.583 0.658 0.229
S 0.657 0.724 0.893
S 0.658 0.583 0.729
S 0.724 0.657 0.393
S 0.970 0.990 0.580
S 0.990 0.970 0.080

Peak list (12 most intense, 10 to 90 degrees two-theta, by angle)
| 2θ (°) | Rel. int. |
| --- | --- |
| 21.2 | 42 |
| 21.6 | 30 |
| 24.4 | 35 |
| 26.1 | 47 |
| 26.8 | 100 |
| 34.3 | 13 |
| 37.5 | 24 |
| 38.0 | 36 |
| 41.8 | 17 |
| 42.3 | 22 |
| 42.8 | 17 |
| 45.0 | 15 |

=====

Structure and computed PXRD pattern of TlAg2S3 (the GGA-PBE geometry in Alexandria; Cu Ka).
Kinematic intensities with the Lorentz-polarization factor, no thermal factor.

Structure:
a b c (Å): 13.731 7.196 13.079
angles (deg): 79.50 31.02 69.48
Atoms (fractional coordinates):
Tl 0.072 0.428 0.089
Tl 0.161 0.839 0.178
Tl 0.428 0.072 0.411
Tl 0.839 0.161 0.822
Ag 0.246 0.246 0.254
Ag 0.332 0.672 0.338
Ag 0.498 0.498 0.502
Ag 0.591 0.912 0.578
Ag 0.672 0.332 0.659
Ag 0.748 0.748 0.752
Ag 0.912 0.591 0.918
Ag 0.996 0.996 0.004
S 0.040 0.211 0.795
S 0.125 0.631 0.867
S 0.211 0.040 0.954
S 0.296 0.455 0.039
S 0.383 0.873 0.125
S 0.455 0.296 0.210
S 0.548 0.693 0.288
S 0.631 0.125 0.377
S 0.693 0.548 0.471
S 0.779 0.962 0.557
S 0.873 0.383 0.619
S 0.962 0.779 0.702

Peak list (12 most intense, 10 to 90 degrees two-theta, by angle)
| 2θ (°) | Rel. int. |
| --- | --- |
| 26.3 | 100 |
| 30.4 | 10 |
| 30.5 | 19 |
| 43.6 | 45 |
| 43.8 | 9 |
| 51.6 | 15 |
| 51.8 | 30 |
| 54.2 | 8 |
| 69.9 | 6 |
| 69.9 | 6 |
| 80.0 | 6 |
| 80.2 | 6 |

=====

Structure and computed PXRD pattern of Tl2AgS3 (the GGA-PBE geometry in Alexandria; Cu Ka).
Kinematic intensities with the Lorentz-polarization factor, no thermal factor.

Structure:
a b c (Å): 7.431 7.431 7.625
angles (deg): 99.95 99.95 120.17
Atoms (fractional coordinates):
Tl 0.083 0.917 0.500
Tl 0.247 0.731 0.006
Tl 0.731 0.247 0.506
Tl 0.917 0.083 0.000
Ag 0.402 0.574 0.495
Ag 0.574 0.402 0.995
S 0.127 0.617 0.632
S 0.308 0.457 0.139
S 0.457 0.308 0.639
S 0.617 0.127 0.132
S 0.774 0.949 0.621
S 0.949 0.774 0.121

Peak list (12 most intense, 10 to 90 degrees two-theta, by angle)
| 2θ (°) | Rel. int. |
| --- | --- |
| 24.9 | 51 |
| 25.3 | 100 |
| 25.6 | 50 |
| 29.0 | 22 |
| 29.4 | 42 |
| 41.3 | 37 |
| 42.1 | 35 |
| 42.2 | 35 |
| 49.1 | 17 |
| 49.3 | 17 |
| 49.5 | 15 |
| 49.9 | 15 |

=====

Structure and computed PXRD pattern of TlAgS3 (the GGA-PBE geometry in Alexandria; Cu Ka).
Kinematic intensities with the Lorentz-polarization factor, no thermal factor.

Structure:
a b c (Å): 11.255 7.677 6.572
angles (deg): 90.00 90.00 90.00
Atoms (fractional coordinates):
Tl 0.156 0.250 0.208
Tl 0.344 0.750 0.708
Tl 0.656 0.250 0.292
Tl 0.844 0.750 0.792
Ag 0.000 0.000 0.500
Ag 0.000 0.500 0.500
Ag 0.500 0.000 0.000
Ag 0.500 0.500 0.000
S 0.149 0.034 0.757
S 0.149 0.466 0.757
'''
• Solution:
Structure and computed PXRD pattern of TlAgS2 (the GGA-PBE geometry in Alexandria; Cu Ka).
Kinematic intensities with the Lorentz-polarization factor, no thermal factor.

Structure:
a b c (Å): 4.708 6.443 7.879
angles (deg): 69.68 77.78 71.89
Atoms (fractional coordinates):
Tl 0.000 0.000 0.000
Tl 0.248 0.490 0.748
Ag 0.544 0.431 0.117
Ag 0.547 0.909 0.571
S 0.001 0.667 0.373
S 0.261 0.147 0.315
S 0.663 0.765 0.884
S 0.871 0.382 0.393

Peak list (12 most intense, 10 to 90 degrees two-theta, by angle)
| 2θ (°) | Rel. int. |
| --- | --- |
| 12.1 | 47 |
| 22.1 | 53 |
| 24.4 | 54 |
| 27.0 | 34 |
| 28.2 | 94 |
| 29.8 | 95 |
| 29.8 | 100 |
| 30.6 | 45 |
| 32.5 | 40 |
| 43.3 | 28 |
| 44.3 | 47 |
| 45.2 | 27 |

=====

Structure and computed PXRD pattern of Tl2AgS6 (the GGA-PBE geometry in Alexandria; Cu Ka).
Kinematic intensities with the Lorentz-polarization factor, no thermal factor.

Structure:
a b c (Å): 10.742 10.742 10.456
angles (deg): 102.89 102.89 23.22
Atoms (fractional coordinates):
Tl 0.122 0.196 0.065
Tl 0.196 0.122 0.565
Tl 0.804 0.878 0.435
Tl 0.878 0.804 0.935
Ag 0.472 0.528 0.750
Ag 0.528 0.472 0.250
S 0.010 0.030 0.920
S 0.030 0.010 0.420
S 0.276 0.343 0.607
S 0.342 0.417 0.271
S 0.343 0.276 0.107
S 0.417 0.342 0.771
S 0.583 0.658 0.229
S 0.657 0.724 0.893
S 0.658 0.583 0.729
S 0.724 0.657 0.393
S 0.970 0.990 0.580
S 0.990 0.970 0.080

Peak list (12 most intense, 10 to 90 degrees two-theta, by angle)
| 2θ (°) | Rel. int. |
| --- | --- |
| 21.2 | 42 |
| 21.6 | 30 |
| 24.4 | 35 |
| 26.1 | 47 |
| 26.8 | 100 |
| 34.3 | 13 |
| 37.5 | 24 |
| 38.0 | 36 |
| 41.8 | 17 |
| 42.3 | 22 |
| 42.8 | 17 |
| 45.0 | 15 |

=====

Structure and computed PXRD pattern of TlAg2S3 (the GGA-PBE geometry in Alexandria; Cu Ka).
Kinematic intensities with the Lorentz-polarization factor, no thermal factor.

Structure:
a b c (Å): 13.731 7.196 13.079
angles (deg): 79.50 31.02 69.48
Atoms (fractional coordinates):
Tl 0.072 0.428 0.089
Tl 0.161 0.839 0.178
Tl 0.428 0.072 0.411
Tl 0.839 0.161 0.822
Ag 0.246 0.246 0.254
Ag 0.332 0.672 0.338
Ag 0.498 0.498 0.502
Ag 0.591 0.912 0.578
Ag 0.672 0.332 0.659
Ag 0.748 0.748 0.752
Ag 0.912 0.591 0.918
Ag 0.996 0.996 0.004
S 0.040 0.211 0.795
S 0.125 0.631 0.867
S 0.211 0.040 0.954
S 0.296 0.455 0.039
S 0.383 0.873 0.125
S 0.455 0.296 0.210
S 0.548 0.693 0.288
S 0.631 0.125 0.377
S 0.693 0.548 0.471
S 0.779 0.962 0.557
S 0.873 0.383 0.619
S 0.962 0.779 0.702

Peak list (12 most intense, 10 to 90 degrees two-theta, by angle)
| 2θ (°) | Rel. int. |
| --- | --- |
| 26.3 | 100 |
| 30.4 | 10 |
| 30.5 | 19 |
| 43.6 | 45 |
| 43.8 | 9 |
| 51.6 | 15 |
| 51.8 | 30 |
| 54.2 | 8 |
| 69.9 | 6 |
| 69.9 | 6 |
| 80.0 | 6 |
| 80.2 | 6 |

=====

Structure and computed PXRD pattern of Tl2AgS3 (the GGA-PBE geometry in Alexandria; Cu Ka).
Kinematic intensities with the Lorentz-polarization factor, no thermal factor.

Structure:
a b c (Å): 7.431 7.431 7.625
angles (deg): 99.95 99.95 120.17
Atoms (fractional coordinates):
Tl 0.083 0.917 0.500
Tl 0.247 0.731 0.006
Tl 0.731 0.247 0.506